# Data
=====
{"formula": "C19H42BINO9", "method": "wB97M-V/def2-TZVPD", "spin_multiplicity": 1, "fmax_ev_per_a": 1.93, "homo_lumo_gap_ha": 0.25012, "lumo_ev": -3.86, "charge": 1, "symbols": ["C", "C", "N", "C", "I", "C", "O", "C", "B", "C", "O", "C", "O", "H", "H", "H", "H", "H", "H", "H", "H", "H", "H", "H", "H", "H", "H", "C", "O", "C", "C", "O", "C", "C", "O", "C", "H", "H", "H", "H", "H", "H", "H", "H", "H", "H", "H", "H", "H", "H", "C", "O", "C", "C", "O", "C", "C", "O", "C", "H", "H", "H", "H", "H", "H", "H", "H", "H", "H", "H", "H", "H", "H"], "positions_angstrom": [[-2.9949, -1.0866, 2.9782], [-3.9847, -0.1708, 2.9906], [-4.1200, 0.7477, 1.8345], [-5.0418, 0.1607, 0.7639], [-6.5980, -1.0903, 1.5665], [-5.5936, 1.2172, -0.2339], [-5.7984, 2.5033, 0.2839], [-4.6203, 2.9561, 0.9133], [-4.5581, 4.5365, 1.1581], [-3.1601, 5.2546, 1.1041], [-5.6927, 5.2376, 1.4570], [-4.5009, 2.1492, 2.2231], [-5.7375, 2.0005, 2.8313], [-1.9468, -0.8413, 2.8199], [-3.2784, -2.1132, 3.1869], [-4.6725, -0.0163, 3.8069], [-3.1722, 0.7931, 1.4466], [-4.4177, -0.5262, 0.2044], [-4.9519, 1.2307, -1.1209], [-6.5658, 0.8597, -0.5574], [-3.7564, 2.6568, 0.3019], [-2.9370, 5.6164, 2.1092], [-2.3686, 4.5571, 0.8280], [-3.1499, 6.0618, 0.3752], [-6.0785, 5.7367, 0.7334], [-3.7592, 2.5877, 2.8934], [-6.2341, 2.8248, 2.7739], [1.2679, -4.2533, 4.5164], [1.1041, -4.5878, 3.1517], [-0.0968, -4.1864, 2.5427], [0.0299, -3.1407, 1.4391], [0.6431, -1.8974, 1.7286], [1.9975, -1.8477, 2.1574], [3.0786, -2.3618, 1.2183], [2.9669, -3.7182, 0.8497], [2.7087, -3.9782, -0.5181], [1.1877, -5.1535, 5.1301], [2.2689, -3.8423, 4.6615], [0.5345, -3.5164, 4.8534], [-0.8248, -3.8565, 3.2943], [-0.5171, -5.0755, 2.0571], [-0.9960, -2.8805, 1.1511], [0.4669, -3.5759, 0.5395], [2.0960, -2.2891, 3.1496], [2.2084, -0.7834, 2.2978], [4.0216, -2.2677, 1.7693], [3.1555, -1.7162, 0.3371], [2.4380, -3.0754, -1.0710], [1.8870, -4.6952, -0.5938], [3.5866, -4.4354, -0.9795], [1.8922, 0.5875, -1.5297], [2.3743, 0.0871, -2.7558], [1.7951, 0.6202, -3.9292], [2.7190, 1.4429, -4.8189], [3.3775, 2.5664, -4.2719], [4.2884, 2.4197, -3.1987], [5.5393, 1.5774, -3.4058], [5.3199, 0.2210, -3.7343], [5.7422, -0.1922, -5.0195], [1.2940, -0.1835, -1.0306], [2.7438, 0.8149, -0.8833], [1.2948, 1.4946, -1.6528], [0.8933, 1.1953, -3.6914], [1.4802, -0.2340, -4.5397], [2.0816, 1.8475, -5.6104], [3.4335, 0.7990, -5.3347], [3.7621, 2.1195, -2.2906], [4.6460, 3.4337, -2.9987], [6.0569, 1.5821, -2.4391], [6.2034, 2.0573, -4.1312], [6.0064, 0.6503, -5.6618], [4.9336, -0.7518, -5.4961], [6.5993, -0.8641, -4.9298]], "forces_ev_per_angstrom": [[-0.503, 0.375, 0.100], [0.562, -0.671, -0.232], [1.074, 0.834, 1.371], [-0.314, -0.087, -0.072], [0.115, 0.231, -0.074], [-0.401, -0.298, 0.114], [0.129, 0.076, -0.249], [0.086, -0.393, 0.496], [0.433, 0.686, -0.277], [-0.171, -1.022, 0.031], [-0.214, -0.698, -0.233], [-0.862, 0.694, -0.713], [0.287, -0.062, 0.507], [-0.107, -0.324, -1.629], [0.502, 0.156, 1.647], [-1.083, -0.655, -0.711], [-0.087, 0.037, -0.301], [0.094, -0.151, 0.123], [0.269, 0.218, 0.082], [-0.040, -0.037, -0.102], [0.150, 0.300, -0.118], [0.051, 0.408, -0.061], [0.159, 0.070, -0.015], [-0.031, 0.304, 0.179], [-0.170, 0.367, 0.167], [0.373, -0.478, 0.050], [-0.174, 0.072, -0.113], [0.140, -0.180, -0.026], [0.012, 0.272, -0.002], [-0.072, -0.139, 0.013], [0.098, -0.082, -0.390], [-0.253, 0.246, 0.084], [0.113, 0.012, 0.329], [0.185, -0.090, 0.005], [-0.281, 0.144, -0.103], [0.071, -0.207, 0.061], [-0.093, 0.032, 0.041], [-0.008, 0.011, -0.007], [-0.014, 0.009, -0.007], [0.077, 0.067, 0.066], [-0.159, 0.075, -0.009], [-0.016, -0.002, 0.067], [0.189, -0.117, 0.151], [0.018, -0.244, -0.113], [-0.065, 0.024, -0.081], [-0.011, 0.196, 0.001], [-0.098, -0.061, -0.062], [0.028, 0.025, 0.005], [0.005, 0.006, 0.001], [0.023, 0.092, -0.051], [0.099, -0.297, 0.039], [0.045, 0.205, 0.002], [-0.099, -0.100, -0.068], [0.287, -0.164, -0.239], [-0.133, 0.205, -0.023], [-0.129, 0.019, 0.229], [0.103, -0.092, 0.150], [-0.143, 0.167, -0.169], [-0.030, -0.211, 0.101], [-0.097, 0.094, 0.037], [-0.022, 0.036, 0.010], [0.006, 0.020, -0.022], [0.056, 0.070, 0.112], [-0.094, 0.083, -0.074], [-0.021, 0.062, 0.047], [0.039, -0.137, 0.220], [0.036, -0.250, -0.055], [0.005, 0.015, -0.080], [0.071, 0.161, -0.031], [-0.069, -0.044, -0.103], [0.009, 0.023, 0.011], [0.002, 0.013, -0.006], [0.064, 0.079, -0.033]], "mulliken_charge": [-0.96, -0.36, 0.09, -0.75, 0.25, -0.51, -0.35, -0.37, 0.41, -0.92, -0.55, -0.17, -0.43, 0.39, 0.28, 0.59, 0.52, 0.61, 0.26, 0.50, 0.26, 0.33, 0.30, 0.34, 0.33, 0.54, 0.35, -0.78, -0.32, -0.53, -0.28, -0.40, -0.33, -0.33, -0.33, -0.74, 0.25, 0.26, 0.36, 0.34, 0.36, 0.47, 0.05, 0.12, 0.48, 0.36, 0.15, 0.33, 0.26, 0.25, -0.80, -0.24, -0.56, -0.27, -0.47, -0.16, -0.47, -0.28, -0.82, 0.19, 0.21, 0.44, 0.41, 0.33, 0.42, 0.06, -0.03, 0.43, 0.35, 0.37, 0.41, 0.24, 0.24]}
=====

# Wanted
Echo the whole of the material further above character by character.

# Reply
{"formula": "C19H42BINO9", "method": "wB97M-V/def2-TZVPD", "spin_multiplicity": 1, "fmax_ev_per_a": 1.93, "homo_lumo_gap_ha": 0.25012, "lumo_ev": -3.86, "charge": 1, "symbols": ["C", "C", "N", "C", "I", "C", "O", "C", "B", "C", "O", "C", "O", "H", "H", "H", "H", "H", "H", "H", "H", "H", "H", "H", "H", "H", "H", "C", "O", "C", "C", "O", "C", "C", "O", "C", "H", "H", "H", "H", "H", "H", "H", "H", "H", "H", "H", "H", "H", "H", "C", "O", "C", "C", "O", "C", "C", "O", "C", "H", "H", "H", "H", "H", "H", "H", "H", "H", "H", "H", "H", "H", "H"], "positions_angstrom": [[-2.9949, -1.0866, 2.9782], [-3.9847, -0.1708, 2.9906], [-4.1200, 0.7477, 1.8345], [-5.0418, 0.1607, 0.7639], [-6.5980, -1.0903, 1.5665], [-5.5936, 1.2172, -0.2339], [-5.7984, 2.5033, 0.2839], [-4.6203, 2.9561, 0.9133], [-4.5581, 4.5365, 1.1581], [-3.1601, 5.2546, 1.1041], [-5.6927, 5.2376, 1.4570], [-4.5009, 2.1492, 2.2231], [-5.7375, 2.0005, 2.8313], [-1.9468, -0.8413, 2.8199], [-3.2784, -2.1132, 3.1869], [-4.6725, -0.0163, 3.8069], [-3.1722, 0.7931, 1.4466], [-4.4177, -0.5262, 0.2044], [-4.9519, 1.2307, -1.1209], [-6.5658, 0.8597, -0.5574], [-3.7564, 2.6568, 0.3019], [-2.9370, 5.6164, 2.1092], [-2.3686, 4.5571, 0.8280], [-3.1499, 6.0618, 0.3752], [-6.0785, 5.7367, 0.7334], [-3.7592, 2.5877, 2.8934], [-6.2341, 2.8248, 2.7739], [1.2679, -4.2533, 4.5164], [1.1041, -4.5878, 3.1517], [-0.0968, -4.1864, 2.5427], [0.0299, -3.1407, 1.4391], [0.6431, -1.8974, 1.7286], [1.9975, -1.8477, 2.1574], [3.0786, -2.3618, 1.2183], [2.9669, -3.7182, 0.8497], [2.7087, -3.9782, -0.5181], [1.1877, -5.1535, 5.1301], [2.2689, -3.8423, 4.6615], [0.5345, -3.5164, 4.8534], [-0.8248, -3.8565, 3.2943], [-0.5171, -5.0755, 2.0571], [-0.9960, -2.8805, 1.1511], [0.4669, -3.5759, 0.5395], [2.0960, -2.2891, 3.1496], [2.2084, -0.7834, 2.2978], [4.0216, -2.2677, 1.7693], [3.1555, -1.7162, 0.3371], [2.4380, -3.0754, -1.0710], [1.8870, -4.6952, -0.5938], [3.5866, -4.4354, -0.9795], [1.8922, 0.5875, -1.5297], [2.3743, 0.0871, -2.7558], [1.7951, 0.6202, -3.9292], [2.7190, 1.4429, -4.8189], [3.3775, 2.5664, -4.2719], [4.2884, 2.4197, -3.1987], [5.5393, 1.5774, -3.4058], [5.3199, 0.2210, -3.7343], [5.7422, -0.1922, -5.0195], [1.2940, -0.1835, -1.0306], [2.7438, 0.8149, -0.8833], [1.2948, 1.4946, -1.6528], [0.8933, 1.1953, -3.6914], [1.4802, -0.2340, -4.5397], [2.0816, 1.8475, -5.6104], [3.4335, 0.7990, -5.3347], [3.7621, 2.1195, -2.2906], [4.6460, 3.4337, -2.9987], [6.0569, 1.5821, -2.4391], [6.2034, 2.0573, -4.1312], [6.0064, 0.6503, -5.6618], [4.9336, -0.7518, -5.4961], [6.5993, -0.8641, -4.9298]], "forces_ev_per_angstrom": [[-0.503, 0.375, 0.100], [0.562, -0.671, -0.232], [1.074, 0.834, 1.371], [-0.314, -0.087, -0.072], [0.115, 0.231, -0.074], [-0.401, -0.298, 0.114], [0.129, 0.076, -0.249], [0.086, -0.393, 0.496], [0.433, 0.686, -0.277], [-0.171, -1.022, 0.031], [-0.214, -0.698, -0.233], [-0.862, 0.694, -0.713], [0.287, -0.062, 0.507], [-0.107, -0.324, -1.629], [0.502, 0.156, 1.647], [-1.083, -0.655, -0.711], [-0.087, 0.037, -0.301], [0.094, -0.151, 0.123], [0.269, 0.218, 0.082], [-0.040, -0.037, -0.102], [0.150, 0.300, -0.118], [0.051, 0.408, -0.061], [0.159, 0.070, -0.015], [-0.031, 0.304, 0.179], [-0.170, 0.367, 0.167], [0.373, -0.478, 0.050], [-0.174, 0.072, -0.113], [0.140, -0.180, -0.026], [0.012, 0.272, -0.002], [-0.072, -0.139, 0.013], [0.098, -0.082, -0.390], [-0.253, 0.246, 0.084], [0.113, 0.012, 0.329], [0.185, -0.090, 0.005], [-0.281, 0.144, -0.103], [0.071, -0.207, 0.061], [-0.093, 0.032, 0.041], [-0.008, 0.011, -0.007], [-0.014, 0.009, -0.007], [0.077, 0.067, 0.066], [-0.159, 0.075, -0.009], [-0.016, -0.002, 0.067], [0.189, -0.117, 0.151], [0.018, -0.244, -0.113], [-0.065, 0.024, -0.081], [-0.011, 0.196, 0.001], [-0.098, -0.061, -0.062], [0.028, 0.025, 0.005], [0.005, 0.006, 0.001], [0.023, 0.092, -0.051], [0.099, -0.297, 0.039], [0.045, 0.205, 0.002], [-0.099, -0.100, -0.068], [0.287, -0.164, -0.239], [-0.133, 0.205, -0.023], [-0.129, 0.019, 0.229], [0.103, -0.092, 0.150], [-0.143, 0.167, -0.169], [-0.030, -0.211, 0.101], [-0.097, 0.094, 0.037], [-0.022, 0.036, 0.010], [0.006, 0.020, -0.022], [0.056, 0.070, 0.112], [-0.094, 0.083, -0.074], [-0.021, 0.062, 0.047], [0.039, -0.137, 0.220], [0.036, -0.250, -0.055], [0.005, 0.015, -0.080], [0.071, 0.161, -0.031], [-0.069, -0.044, -0.103], [0.009, 0.023, 0.011], [0.002, 0.013, -0.006], [0.064, 0.079, -0.033]], "mulliken_charge": [-0.96, -0.36, 0.09, -0.75, 0.25, -0.51, -0.35, -0.37, 0.41, -0.92, -0.55, -0.17, -0.43, 0.39, 0.28, 0.59, 0.52, 0.61, 0.26, 0.50, 0.26, 0.33, 0.30, 0.34, 0.33, 0.54, 0.35, -0.78, -0.32, -0.53, -0.28, -0.40, -0.33, -0.33, -0.33, -0.74, 0.25, 0.26, 0.36, 0.34, 0.36, 0.47, 0.05, 0.12, 0.48, 0.36, 0.15, 0.33, 0.26, 0.25, -0.80, -0.24, -0.56, -0.27, -0.47, -0.16, -0.47, -0.28, -0.82, 0.19, 0.21, 0.44, 0.41, 0.33, 0.42, 0.06, -0.03, 0.43, 0.35, 0.37, 0.41, 0.24, 0.24]}